Entries.
# 1
VASP calculation (PBE) on a relaxed structure of Na14Ca4Zn4Si3S9O48.

Calculated values
Its calculated volume is 13.95 A^3/atom. As for the formation energy from the elements: -2320 meV per atom. The calculation puts the total magnetic moment at 0.0 μB/f.u.

a = 18.6310 Å, b = 9.3231 Å, c = 22.8557 Å
α = 89.94°, β = 89.69°, γ = 120.15°
Positions (direct):
O 0.0732 0.6561 0.0843
O 0.4892 0.1985 0.3091
S 0.1460 0.9982 0.2524
Na 0.1812 0.3653 0.2603
O 0.5974 0.1797 0.8098
O 0.2840 0.7034 0.9771
O 0.1827 0.4849 0.0795
O 0.1747 0.8838 0.8634
Zn 0.1737 0.6390 0.8202
O 0.2412 0.1353 0.9201
O 0.2652 0.6746 0.2526
O 0.6745 0.4661 0.3607
Na 0.8383 0.0333 0.9120
Ca 0.6650 0.6673 0.0127
O 0.0666 0.4761 0.5816
Na 0.3510 0.0128 0.9151
O 0.4217 0.5270 0.7478
O 0.1498 0.4373 0.4733
S 0.6879 0.0433 0.5808
O 0.8297 0.5327 0.6297
O 0.0137 0.8040 0.7038
O 0.3963 0.0131 0.8045
O 0.3206 0.5254 0.6352
O 0.4318 0.5399 0.0316
O 0.4053 0.7967 0.5858
Na 0.6727 0.0317 0.4096
O 0.1906 0.4680 0.3580
Na 0.6763 0.0090 0.7636
Si 0.1711 0.3551 0.4176
S 0.1647 0.9673 0.9153
Na 0.1856 0.0163 0.7527
O 0.5810 0.4681 0.2599
S 0.1861 0.0374 0.5829
O 0.6550 0.8697 0.9791
O 0.3258 0.1209 0.1322
S 0.6641 0.3633 0.4133
Si 0.6473 0.2982 0.7526
O 0.2587 0.8488 0.7576
O 0.0556 0.4648 0.8590
O 0.2294 0.1535 0.2503
O 0.9026 0.0108 0.8035
O 0.7879 0.6971 0.9730
O 0.7574 0.6401 0.5768
O 0.5951 0.9645 0.1910
Na 0.6639 0.2849 0.9061
O 0.4274 0.3367 0.6425
O 0.4824 0.1593 0.5801
O 0.4322 0.5206 0.4166
O 0.6832 0.8802 0.5769
Na 0.4888 0.6907 0.9142
O 0.8381 0.1283 0.0302
O 0.4313 0.3336 0.2525
O 0.4853 0.7718 0.8055
O 0.9075 0.8009 0.5794
O 0.2355 0.3482 0.1377
Na 0.1390 0.9429 0.0803
Na 0.1687 0.0437 0.4202
S 0.8316 0.0347 0.0839
Na 0.9862 0.2904 0.4205
O 0.9301 0.5184 0.1457
Na 0.4810 0.3022 0.4290
O 0.7374 0.3021 0.7549
O 0.9931 0.2033 0.3056
Si 0.8196 0.9748 0.4182
O 0.5884 0.1922 0.4098
Zn 0.5108 0.0089 0.3371
O 0.0118 0.2176 0.1999
Zn 0.6724 0.7099 0.3220
Si 0.4758 0.3324 0.5824
O 0.7607 0.8974 0.3599
O 0.9029 0.7883 0.3047
O 0.9237 0.3110 0.2483
O 0.5647 0.4418 0.9686
O 0.2486 0.3254 0.7420
O 0.0682 0.6947 0.4650
O 0.7559 0.8635 0.0829
O 0.9852 0.8070 0.0827
O 0.0684 0.4353 0.9637
O 0.7288 0.1470 0.5273
O 0.1610 0.4909 0.7533
O 0.5721 0.4876 0.5833
O 0.5549 0.6462 0.3576
O 0.3303 0.4984 0.9212
O 0.0962 0.2258 0.6900
S 0.5030 0.3035 0.2562
Na 0.5000 0.9980 0.9873
O 0.9345 0.5312 0.7516
Na 0.5117 0.6563 0.2496
O 0.6820 0.4912 0.0811
Na 0.4997 0.0047 0.5076
S 0.9807 0.3311 0.5830
O 0.5666 0.6561 0.0820
Na 0.6367 0.3305 0.5944
Ca 0.1620 0.6566 0.0143
S 0.8346 0.6283 0.5769
O 0.0032 0.8143 0.4097
O 0.2318 0.3137 0.0311
O 0.1539 0.8474 0.2559
Zn 0.3363 0.3536 0.9809
O 0.5872 0.9991 0.9159
O 0.8222 0.1140 0.1375
O 0.9079 0.8284 0.9105
Na 0.6507 0.9681 0.0783
Zn 0.8344 0.3152 0.4848
O 0.7668 0.8637 0.7536
S 0.8533 0.0022 0.7504
S 0.5102 0.3607 0.9180
O 0.4056 0.0126 0.0825
Ca 0.9973 0.9953 0.1477
O 0.5681 0.7000 0.4624
O 0.4855 0.7960 0.0828
O 0.1020 0.0196 0.5851
O 0.8306 0.1647 0.4220
O 0.6517 0.4786 0.7550
S 0.4813 0.6304 0.0835
O 0.0889 0.1669 0.4111
O 0.9055 0.0134 0.0865
Ca 0.3358 0.3244 0.1854
Na 0.9987 0.0010 0.4933
Na 0.3298 0.3461 0.8304
Na 0.1640 0.6575 0.6739
O 0.3373 0.5496 0.5280
Na 0.3291 0.3279 0.3422
O 0.9286 0.5148 0.4235
O 0.1052 0.1806 0.0854
O 0.3812 0.9675 0.6987
S 0.0051 0.7043 0.7562
O 0.8415 0.5458 0.5230
O 0.4222 0.3158 0.5220
Na 0.3131 0.6247 0.7565
Na 0.8173 0.3245 0.8347
O 0.2340 0.1195 0.6363
O 0.7566 0.1753 0.9276
O 0.5050 0.7975 0.6995
O 0.9393 0.3409 0.6368
Na 0.9915 0.6214 0.2387
O 0.2553 0.6467 0.5815
O 0.8335 0.5256 0.9201
Zn 0.3325 0.3373 0.4912
O 0.7687 0.6512 0.8684
S 0.3328 0.0383 0.0791
Na 0.3417 0.6473 0.4176
S 0.5157 0.6724 0.4110
Ca 0.1639 0.6588 0.5135
Si 0.1546 0.3062 0.7471
Na 0.8302 0.9564 0.5752
Na 0.0091 0.3661 0.7500
O 0.5049 0.8211 0.4055
Zn 0.8330 0.3319 0.9880
Si 0.9765 0.6178 0.0842
Na 0.1730 0.3174 0.9049
O 0.2553 0.8704 0.0786
Si 0.3215 0.6687 0.9175
S 0.3454 0.9959 0.7528
O 0.0837 0.6981 0.7606
O 0.8918 0.9830 0.6967

To do.
Your job: type out the lines further above up to the one that holds "0.1546 0.3062", that line included.

Solution.
# 1
VASP calculation (PBE) on a relaxed structure of Na14Ca4Zn4Si3S9O48.

Calculated values
Its calculated volume is 13.95 A^3/atom. As for the formation energy from the elements: -2320 meV per atom. The calculation puts the total magnetic moment at 0.0 μB/f.u.

a = 18.6310 Å, b = 9.3231 Å, c = 22.8557 Å
α = 89.94°, β = 89.69°, γ = 120.15°
Positions (direct):
O 0.0732 0.6561 0.0843
O 0.4892 0.1985 0.3091
S 0.1460 0.9982 0.2524
Na 0.1812 0.3653 0.2603
O 0.5974 0.1797 0.8098
O 0.2840 0.7034 0.9771
O 0.1827 0.4849 0.0795
O 0.1747 0.8838 0.8634
Zn 0.1737 0.6390 0.8202
O 0.2412 0.1353 0.9201
O 0.2652 0.6746 0.2526
O 0.6745 0.4661 0.3607
Na 0.8383 0.0333 0.9120
Ca 0.6650 0.6673 0.0127
O 0.0666 0.4761 0.5816
Na 0.3510 0.0128 0.9151
O 0.4217 0.5270 0.7478
O 0.1498 0.4373 0.4733
S 0.6879 0.0433 0.5808
O 0.8297 0.5327 0.6297
O 0.0137 0.8040 0.7038
O 0.3963 0.0131 0.8045
O 0.3206 0.5254 0.6352
O 0.4318 0.5399 0.0316
O 0.4053 0.7967 0.5858
Na 0.6727 0.0317 0.4096
O 0.1906 0.4680 0.3580
Na 0.6763 0.0090 0.7636
Si 0.1711 0.3551 0.4176
S 0.1647 0.9673 0.9153
Na 0.1856 0.0163 0.7527
O 0.5810 0.4681 0.2599
S 0.1861 0.0374 0.5829
O 0.6550 0.8697 0.9791
O 0.3258 0.1209 0.1322
S 0.6641 0.3633 0.4133
Si 0.6473 0.2982 0.7526
O 0.2587 0.8488 0.7576
O 0.0556 0.4648 0.8590
O 0.2294 0.1535 0.2503
O 0.9026 0.0108 0.8035
O 0.7879 0.6971 0.9730
O 0.7574 0.6401 0.5768
O 0.5951 0.9645 0.1910
Na 0.6639 0.2849 0.9061
O 0.4274 0.3367 0.6425
O 0.4824 0.1593 0.5801
O 0.4322 0.5206 0.4166
O 0.6832 0.8802 0.5769
Na 0.4888 0.6907 0.9142
O 0.8381 0.1283 0.0302
O 0.4313 0.3336 0.2525
O 0.4853 0.7718 0.8055
O 0.9075 0.8009 0.5794
O 0.2355 0.3482 0.1377
Na 0.1390 0.9429 0.0803
Na 0.1687 0.0437 0.4202
S 0.8316 0.0347 0.0839
Na 0.9862 0.2904 0.4205
O 0.9301 0.5184 0.1457
Na 0.4810 0.3022 0.4290
O 0.7374 0.3021 0.7549
O 0.9931 0.2033 0.3056
Si 0.8196 0.9748 0.4182
O 0.5884 0.1922 0.4098
Zn 0.5108 0.0089 0.3371
O 0.0118 0.2176 0.1999
Zn 0.6724 0.7099 0.3220
Si 0.4758 0.3324 0.5824
O 0.7607 0.8974 0.3599
O 0.9029 0.7883 0.3047
O 0.9237 0.3110 0.2483
O 0.5647 0.4418 0.9686
O 0.2486 0.3254 0.7420
O 0.0682 0.6947 0.4650
O 0.7559 0.8635 0.0829
O 0.9852 0.8070 0.0827
O 0.0684 0.4353 0.9637
O 0.7288 0.1470 0.5273
O 0.1610 0.4909 0.7533
O 0.5721 0.4876 0.5833
O 0.5549 0.6462 0.3576
O 0.3303 0.4984 0.9212
O 0.0962 0.2258 0.6900
S 0.5030 0.3035 0.2562
Na 0.5000 0.9980 0.9873
O 0.9345 0.5312 0.7516
Na 0.5117 0.6563 0.2496
O 0.6820 0.4912 0.0811
Na 0.4997 0.0047 0.5076
S 0.9807 0.3311 0.5830
O 0.5666 0.6561 0.0820
Na 0.6367 0.3305 0.5944
Ca 0.1620 0.6566 0.0143
S 0.8346 0.6283 0.5769
O 0.0032 0.8143 0.4097
O 0.2318 0.3137 0.0311
O 0.1539 0.8474 0.2559
Zn 0.3363 0.3536 0.9809
O 0.5872 0.9991 0.9159
O 0.8222 0.1140 0.1375
O 0.9079 0.8284 0.9105
Na 0.6507 0.9681 0.0783
Zn 0.8344 0.3152 0.4848
O 0.7668 0.8637 0.7536
S 0.8533 0.0022 0.7504
S 0.5102 0.3607 0.9180
O 0.4056 0.0126 0.0825
Ca 0.9973 0.9953 0.1477
O 0.5681 0.7000 0.4624
O 0.4855 0.7960 0.0828
O 0.1020 0.0196 0.5851
O 0.8306 0.1647 0.4220
O 0.6517 0.4786 0.7550
S 0.4813 0.6304 0.0835
O 0.0889 0.1669 0.4111
O 0.9055 0.0134 0.0865
Ca 0.3358 0.3244 0.1854
Na 0.9987 0.0010 0.4933
Na 0.3298 0.3461 0.8304
Na 0.1640 0.6575 0.6739
O 0.3373 0.5496 0.5280
Na 0.3291 0.3279 0.3422
O 0.9286 0.5148 0.4235
O 0.1052 0.1806 0.0854
O 0.3812 0.9675 0.6987
S 0.0051 0.7043 0.7562
O 0.8415 0.5458 0.5230
O 0.4222 0.3158 0.5220
Na 0.3131 0.6247 0.7565
Na 0.8173 0.3245 0.8347
O 0.2340 0.1195 0.6363
O 0.7566 0.1753 0.9276
O 0.5050 0.7975 0.6995
O 0.9393 0.3409 0.6368
Na 0.9915 0.6214 0.2387
O 0.2553 0.6467 0.5815
O 0.8335 0.5256 0.9201
Zn 0.3325 0.3373 0.4912
O 0.7687 0.6512 0.8684
S 0.3328 0.0383 0.0791
Na 0.3417 0.6473 0.4176
S 0.5157 0.6724 0.4110
Ca 0.1639 0.6588 0.5135
Si 0.1546 0.3062 0.7471